A take on Positive Discipline
When we think of the word discipline, it is often associated with terms like punishment or time outs— in other words, the penalties that follow when children disobey their parents. Discipline in the Montessori world has a different meaning. Teaching is discipline. We guide children in appropriate behaviour while also assisting them in comprehending and expressing their feelings.
Teaching your child to behave is what discipline is all about. It’s a fresh perspective on discipline, isn’t it? The concept of discipline extends beyond punishment, consequences, and what to do when children misbehave. Our children learn how to behave through discipline.
Inserted here: calculated crystals.
No. 1
# Ba3PaSe6
Computed XRD peak list, CuKα. Input: a crystal structure in Alexandria, relaxed with PBE.
Neutral-atom scattering factors, no anomalous dispersion.

Structure:
```
data_Ba3PaSe6
_chemical_formula_sum 'Ba18 Pa6 Se36'
_cell_length_a 12.6239
_cell_length_b 12.6239
_cell_length_c 15.6411
_cell_angle_alpha 90.00
_cell_angle_beta 90.00
_cell_angle_gamma 120.00
_symmetry_space_group_name_H-M 'R -3 c'
_symmetry_Int_Tables_number 167
_symmetry_space_group_name_Hall '-R 3 2"c'
loop_
_atom_site_label
_atom_site_type_symbol
_atom_site_fract_x
_atom_site_fract_y
_atom_site_fract_z
Ba1 Ba 0.0000 0.3682 0.2500
Pa1 Pa 0.0000 0.0000 0.0000
Se1 Se 0.0227 0.1889 0.3969
```

Peak list (12 most intense, 2θ = 10–90°, by intensity)
- 2θ 13.9, intensity 100, (0 1 2)
- 2θ 33.2, intensity 90, (2 2 3)
- 2θ 24.4, intensity 44, (3 0 0)
- 2θ 31.5, intensity 44, (2 1 4)
- 2θ 31.6, intensity 39, (3 1 2)
- 2θ 30.0, intensity 35, (1 3 1)
- 2θ 45.1, intensity 27, (2 2 6)
- 2θ 42.8, intensity 25, (3 2 4)
- 2θ 37.3, intensity 24, (1 1 6)
- 2θ 50.1, intensity 21, (6 0 0)
- 2θ 22.1, intensity 20, (1 1 3)
- 2θ 64.2, intensity 18, (3 5 4)

***

No. 2
# CaGaCl5
Computed XRD peak list, CuKα. Input: a crystal structure in Alexandria, relaxed with PBE.
Neutral-atom scattering factors, no anomalous dispersion.

Structure:
```
data_CaGaCl5
_chemical_formula_sum 'Ca4 Ga4 Cl20'
_cell_length_a 10.3911
_cell_length_b 9.9448
_cell_length_c 10.0444
_cell_angle_alpha 90.00
_cell_angle_beta 119.00
_cell_angle_gamma 90.00
_symmetry_space_group_name_H-M 'C 1 2/c 1'
_symmetry_Int_Tables_number 15
loop_
_symmetry_equiv_pos_as_xyz
'x,y,z'
'-x,-y,-z'
'-x,y,-z+1/2'
'x,-y,z+1/2'
'x+1/2,y+1/2,z'
'-x+1/2,-y+1/2,-z'
'-x+1/2,y+1/2,-z+1/2'
'x+1/2,-y+1/2,z+1/2'
loop_
_atom_site_label
_atom_site_type_symbol
_atom_site_fract_x
_atom_site_fract_y
_atom_site_fract_z
Ca1 Ca 0.0000 0.0000 0.0000
Ga1 Ga 0.0000 0.3977 0.2500
Cl1 Cl 0.0000 0.0812 0.7500
Cl2 Cl 0.0181 0.2798 0.4444
Cl3 Cl 0.1903 0.4642 0.8333
```

Peak list (12 most intense, 2θ = 10–90°, by intensity)
- 2θ 19.8, intensity 100, (1 1 -2)
- 2θ 19.5, intensity 88, (2 0 0)
- 2θ 24.8, intensity 53, (2 2 -1)
- 2θ 40.2, intensity 37, (2 2 -4)
- 2θ 20.5, intensity 36, (0 2 1)
- 2θ 31.8, intensity 34, (2 2 1)
- 2θ 50.9, intensity 31, (2 4 2)
- 2θ 41.7, intensity 31, (2 4 -2)
- 2θ 35.8, intensity 29, (2 0 -4)
- 2θ 13.4, intensity 28, (1 1 -1)
- 2θ 27.1, intensity 26, (0 2 2)
- 2θ 17.8, intensity 25, (0 2 0)

***

No. 3
# Mn3In6I14
Computed XRD peak list, CuKα. Input: a crystal structure in Alexandria, relaxed with PBE.
Neutral-atom scattering factors, no anomalous dispersion.

Structure:
```
data_Mn3In6I14
_chemical_formula_sum 'Mn3 In6 I14'
_cell_length_a 11.9284
_cell_length_b 11.9284
_cell_length_c 7.3802
_cell_angle_alpha 90.00
_cell_angle_beta 90.00
_cell_angle_gamma 120.00
_symmetry_space_group_name_H-M 'P 3'
_symmetry_Int_Tables_number 143
loop_
_symmetry_equiv_pos_as_xyz
'x,y,z'
'-y,x-y,z'
'-x+y,-x,z'
loop_
_atom_site_label
You may find yourself in a variety of draining and unpleasant circumstances when your child doesn’t listen, such as engaging in power struggles with them. However, when you shift your perspective and view discipline as teaching, you are compelled to consider what your toddler needs to learn. What can your child learn from this that would be beneficial? How can your toddler use this difficult behaviour to develop new routines, values, and understand the importance of having consequences?
Here are some strategies to help your toddlers quit willful disobedience and lessen power struggles. Let’s start now!
- Get down to your toddler’s level and make eye-contact
Thinking about the problem from your toddler’s perspective can have a very literal meaning. Getting down to their eye level when you speak to them is one of the simplest ways to improve communication. Approach your child at eye level, make eye contact, and provide your instructions in a firm yet calm manner. By doing so, you’re showing greater consideration and respect to your child while sending the message that you wish to be taken seriously.
- Give choices
Giving your toddlers choices can prevent a potential meltdown and promote listening in them. By focusing on the decisions they can make- rather than the work they are avoiding, you can stop many temper tantrums from ever happening! Your toddler almost always has to abide by adult decisions but having a say in their own decisions gives them a chance to express their ideas. In turn, they will accept their decisions and carry them out. This has a positive effect on children as it allows them to feel empowered. Giving options enables them to take charge and sharpen their critical thinking abilities. They will choose the course of action they prefer to take and be responsible for it.
- Explain the Reason
Just as adults often seek the answer to the infamous question ‘Why?’, our toddlers feel the same way. They also need to be informed the reason ‘why’ to help them make sense of the world as they are navigating it and attempting to improve their communication skills each day. Your toddler will be more motivated to comply if they know why they should do so rather than just being told what to do or not do.
- Watch your wording
Do not “ask” for the instruction when you want your child to do something. For instance, when a toddler is asked “Can you take a bath?”, you may be faced with a confident “NO”, silence or a blank stare. Instead, say “It’s time to take a bath”. This way, your child knows they have to take a bath. As mentioned above, if you are met with protest, you may further explain the importance of taking baths.
[The page is interrupted by data records]
- - -
Computed powder diffraction line list
Compound: Sm6Cd5Cu
Radiation: CuKα
Structure: a structure optimized by DFT (GGA-PBE)
Peak positions follow from Bragg's law for the DFT cell and can differ from measured ones.

Structure:
Unit cell a=9.214 b=9.214 c=5.307 alpha=106.69 beta=106.69 gamma=49.02
Element x y z (fractional)
1 Sm 0.080 0.600 0.340
2 Sm 0.234 0.766 0.000
3 Sm 0.400 0.920 0.660
4 Sm 0.600 0.080 0.340
5 Sm 0.766 0.234 0.000
6 Sm 0.920 0.400 0.660
7 Cd 0.177 0.177 0.177
8 Cd 0.333 0.333 0.833
9 Cd 0.500 0.500 0.500
10 Cd 0.667 0.667 0.167
11 Cd 0.823 0.823 0.823
12 Cu 0.000 0.000 0.500

Top 10 peaks for 10° ≤ 2θ ≤ 90°, by angle:
2θ = 33.5°, I = 100; 2θ = 33.8°, I = 49; 2θ = 47.6°, I = 9; 2θ = 48.5°, I = 17; 2θ = 59.6°, I = 18; 2θ = 60.2°, I = 34; 2θ = 70.3°, I = 10; 2θ = 79.4°, I = 7; 2θ = 80.9°, I = 7; 2θ = 81.0°, I = 5

---

Computed powder diffraction line list
Compound: CsRbAg
Radiation: CuKα
Structure: a structure optimized by DFT (GGA-PBE)
Peak positions follow from Bragg's law for the DFT cell and can differ from measured ones.

Structure:
Unit cell a=5.250 b=5.250 c=8.680 alpha=90.00 beta=90.00 gamma=120.00
Element x y z (fractional)
1 Cs 0.000 0.000 0.000
2 Rb 0.667 0.333 0.520
3 Ag 0.333 0.667 0.748

Top 10 peaks for 10° ≤ 2θ ≤ 90°, by angle:
2θ = 10.2°, I = 34; 2θ = 22.1°, I = 100; 2θ = 28.4°, I = 57; 2θ = 34.2°, I = 37; 2θ = 36.8°, I = 28; 2θ = 41.0°, I = 19; 2θ = 45.0°, I = 16; 2θ = 54.4°, I = 17; 2θ = 54.9°, I = 18; 2θ = 57.7°, I = 15

---

Computed powder diffraction line list
Compound: Sr3In8Sn3
Radiation: CuKα
Structure: a structure optimized by DFT (GGA-PBE)
Peak positions follow from Bragg's law for the DFT cell and can differ from measured ones.

Structure:
Unit cell a=9.531 b=9.531 c=9.531 alpha=149.22 beta=107.09 gamma=81.20
Element x y z (fractional)
1 Sr 0.000 0.000 0.000
2 Sr 0.311 0.311 0.000
3 Sr 0.689 0.689 0.000
4 In 0.033 0.660 0.372
5 In 0.128 0.853 0.274
6 In 0.288 0.660 0.628
7 In 0.421 0.147 0.274
8 In 0.579 0.853 0.726
9 In 0.712 0.340 0.372
10 In 0.872 0.147 0.726
11 In 0.967 0.340 0.628
12 Sn 0.301 0.500 0.801
13 Sn 0.500 0.000 0.500
14 Sn 0.699 0.500 0.199

Top 10 peaks for 10° ≤ 2θ ≤ 90°, by angle:
2θ = 30.1°, I = 100; 2θ = 32.1°, I = 25; 2θ = 35.5°, I = 38; 2θ = 36.9°, I = 17; 2θ = 37.3°, I = 25; 2θ = 38.8°, I = 19; 2θ = 41.0°, I = 13; 2θ = 52.4°, I = 18; 2θ = 58.2°, I = 13; 2θ = 60.4°, I = 14

---

Computed powder diffraction line list
Compound: NpAl4CuAu2
Radiation: CuKα
Structure: a structure optimized by DFT (GGA-PBE)
Peak positions follow from Bragg's law for the DFT cell and can differ from measured ones.

Structure:
Unit cell a=9.100 b=9.100 c=9.100 alpha=27.55 beta=27.55 gamma=27.55
Element x y z (fractional)
1 Np 0.000 0.000 0.000
2 Al 0.131 0.131 0.131
3 Al 0.400 0.400 0.400
4 Al 0.600 0.600 0.600
5 Al 0.869 0.869 0.869
6 Cu 0.500 0.500 0.500
7 Au 0.240 0.240 0.240
8 Au 0.760 0.760 0.760

Top 10 peaks for 10° ≤ 2θ ≤ 90°, by angle:
- - -
- Use Positive Language
When using positive language, frame your sentences in terms of what your toddler can do rather than what they can’t. An example of positive language is saying “Let’s Walk” opposed to “Don’t run”. The next time you observe your child walking instead of running in an unsafe place (for instance, while crossing the street), be sure to praise your child for their good choices. Perhaps you might say “Great job walking while crossing the street today”.
Recognizing your child’s feelings and intentions will help them learn to listen. Work on obtaining eye-contact with them and firmly but calmly explain what they must accomplish. Give reasons for it and parent-approved choices.
As with anything in parenting, you’ll have bad days. Your toddler might act appropriately one moment before purposefully disobeying again. There is no magic solution because everyone—including children—are human and subject to bad days.
During your bad days, or moments of frustration, try to remember that discipline isn’t about being stern or giving out penalties. Instead, discipline is teaching how to act and how to overcome parenting obstacles!